Hematocrit (HCT) and time taken to reduce it


New Member
Hey guys.

Bloods came back 2 weeks ago. Was extremely hydrated prior to testing. Drink about 3.5L of water a day.
HCT: 57%
RBC: 6.5
Hb: 17
MCHC: Lower than reference range
Mean cell HB: lower than reference range
RDW: Higher than reference range

Took a pint of blood the week after
and 300mL this week.

On average, how many points do you guys go down when you donate a pint of blood?
And when do you guys get bloods done to check progress after donating?
It is going to vary a ton by individual.

Waiting more than a week or two is going to be a bit pointless.
Ah so better get it this week is what you're saying right?

As well as that, do you yourself use any supplementation to prevent it from increasing rapidly while on cycle?
Ah so better get it this week is what you're saying right?
That is my preference but as long as you keep the delay in testing consistent with your therapeutic phlebotomy you should able to judge effectiveness over time pretty well.

As well as that, do you yourself use any supplementation to prevent it from increasing rapidly while on cycle?
I do not, but again the effects of AAS on HCT/RBC seem to vary dramatically from person to person.

Were mine to get any higher than yours are right now (and if phlebotomy failed to help significantly) my course of treatment would be to lower my AAS dosing to the bare maintenance minimums for a few months.

This isn't a deal breaker for me because neither BB nor PL are my living and I don't compete. For those making their living this way it is a much more difficult decision.
On average, how many points do you guys go down when you donate a pint of blood?
That’s not the question you want answered. What you want to know is how durable the drop is two weeks after donation. If you went from 57–>53 from one donation but were back at 56 two weeks later then that brief dip was meaningless. How quickly you go back up after a donation is the sticky problem, and that will be dictated by what drugs you’re taking.
That’s not the question you want answered. What you want to know is how durable the drop is two weeks after donation. If you went from 57–>53 from one donation but were back at 56 two weeks later then that brief dip was meaningless. How quickly you go back up after a donation is the sticky problem, and that will be dictated by what drugs you’re taking.
Great point.

Have come off cold turkey for 2 weeks now. Nothing injected. Blast was test 500 for 30 weeks.

hopefully cruise dose of test 150ish would not spike the values for a while.

Thinking I'll test HCT tomorrow and then retest in 2 weeks.
I’m at the point where I donate every 4 weeks. HGB shoots up quickly. This protocol was approved by my hematologist. Take that as you will.
I’m at the point where I donate every 4 weeks. HGB shoots up quickly. This protocol was approved by my hematologist. Take that as you will.
Oh I see, yeah I might need to be doing that depending on what my labs come back as. Surprised my haematocrit shot so high up in such a small time frame.

What do you do to prevent lowering your ferritin, or does this not happen for you?

Do you supplement with iron?
Oh I see, yeah I might need to be doing that depending on what my labs come back as. Surprised my haematocrit shot so high up in such a small time frame.

What do you do to prevent lowering your ferritin, or does this not happen for you?

Do you supplement with iron?

30 weeks is quick to you? Unless I've misunderstood this situation?

For instance my hct went from about 45-48 to 52 in just 8 weeks of 100mg/week trt. That's quick to me lol.
Oh damn now that’s even more quick.

How often do you donate?

So far once after that latest blood draw that showed 52%. Will know if it's effective probably within a few weeks. Have my first follow up with urologist soon.

## These quantum chemistry results were left in the piece by mistake
=====
(1)
A molecular structure, C13H14BiCl2InN2O4. Source: the OMol25 dataset; level of theory: ωB97M-V/def2-TZVPD.

ORCA input file:
```
! RIJCOSX wB97M-V def2-TZVPD def2/J DEFGRID3
* xyz 4 1
In 1.571 0.090 -5.152
Bi -0.874 1.362 -2.905
Cl -1.075 -0.748 -4.571
Cl -1.110 3.547 -4.102
C 1.544 2.013 -2.989
C 1.059 -1.697 -6.926
C 0.694 1.874 -6.949
O 2.068 2.874 -2.416
O 0.408 -2.557 -7.340
O 0.290 2.531 -7.793
C -2.832 -0.151 4.110
C -1.387 0.335 4.128
N -0.714 0.229 2.844
C 0.173 1.348 2.470
C 1.653 1.034 2.456
C -0.529 -1.054 2.378
O -0.803 -2.045 3.055
C -0.013 -1.233 0.969
C 0.739 -2.381 0.658
C 1.232 -2.512 -0.635
C 0.918 -1.557 -1.590
N 0.156 -0.489 -1.297
C -0.349 -0.355 -0.056
H -3.406 0.419 3.369
H -3.267 -0.005 5.106
H -2.850 -1.217 3.878
H -1.324 1.392 4.403
H -0.842 -0.277 4.874
H -0.119 1.724 1.482
H -0.068 2.114 3.210
H 1.904 0.298 1.691
H 2.175 1.961 2.202
H 1.991 0.675 3.435
H 0.918 -3.110 1.453
H 1.872 -3.337 -0.933
H 1.271 -1.571 -2.612
H -1.074 0.473 0.094
*
```

Computed properties:
Highest occupied orbital energy (alpha / beta), eV: -22.189 / -22.357
Energy relative to the best compared isomer or geometry (same formula, charge and spin), kcal/mol: 0.00
Lowest unoccupied orbital energy (alpha / beta), eV: -16.11 / -18.16
Gap between HOMO and LUMO (alpha / beta), eV: 6.084 / 4.202

---

(2)
A molecular structure, CHClFNS. Source: the OMol25 dataset; level of theory: ωB97M-V/def2-TZVPD.

ORCA input file:
```
! RIJCOSX wB97M-V def2-TZVPD def2/J DEFGRID3
* xyz 0 3
C -0.827 -0.420 -0.228
N 1.229 0.242 -0.330
F -0.958 -1.701 -0.545
S -1.737 0.755 0.217
Cl 0.894 1.650 0.507
H 1.399 -0.527 0.380
*
```

Computed properties:
Highest occupied orbital energy (alpha / beta), eV: -7.103 / -9.805
<S²>: 2.0126
Energy relative to the best compared isomer or geometry (same formula, charge and spin), kcal/mol: 23.43
Lowest unoccupied orbital energy (alpha / beta), eV: -0.10 / -2.66
Gap between HOMO and LUMO (alpha / beta), eV: 7.007 / 7.147

---

(3)
2 unconnected molecules or ions with the total composition C6H16N3. Source: the OMol25 dataset; level of theory: ωB97M-V/def2-TZVPD.

ORCA input file:
```
! RIJCOSX wB97M-V def2-TZVPD def2/J DEFGRID3
* xyz 1 1
C -2.658 0.552 -1.217
C -2.218 1.290 1.023
C 0.944 -2.240 0.182
C 2.500 1.350 0.077
C -2.095 0.043 0.146
C -0.704 -0.412 0.011
N 4.305 -0.056 -0.087
N -0.347 -1.637 0.182
N 3.071 0.005 -0.111
H -3.718 0.942 -1.019
H -2.136 1.435 -1.525
H -2.454 -0.085 -2.072
H -2.184 0.958 2.015
H -2.895 2.043 0.767
H -1.253 1.781 0.851
H 1.719 -1.514 -0.295
H 1.331 -2.480 1.086
H 0.853 -3.204 -0.393
H 1.625 1.364 -0.540
H 3.280 2.097 -0.297
H 2.297 1.373 1.151
H -2.767 -0.803 0.434
H 0.005 0.477 -0.266
H 4.721 -0.991 -0.254
H -1.223 -2.289 0.152
*
```

Computed properties:
Highest occupied orbital energy, eV: -12.301
Energy relative to the best compared isomer or geometry (same formula, charge and spin), kcal/mol: 64.61
Lowest unoccupied orbital energy, eV: -4.35
Gap between HOMO and LUMO, eV: 7.955

---

(4)
=====
## Back to the piece

Since I just started trt back up it may be a transient elevation but it was a side effect I had first time on trt too.

RBC is slightly elevated as well. Platelets are fine so not worried about stroking out.
Blast was test 500 for 30 weeks.
lol wut?

Serious dude. 7 months is not a short cycle or even a long cycle.

That is way WAAAY long for a blast.

No wonder you ended up that high on the scale.

Give your body some breaks in between blasts and don't go that long on a blast without expecting ever increasing health issues.
Even with my test levels on TRT as low as mid 500's, my hct climbs to 59. It's 57 as of two days ago and that's less than 12 weeks after donating. Doesn't matter if t level is 500's, 800's, 1100's, 1800's. Same HCT

The other mystery is why my t levels have been cut in half on TRT.
Even with my test levels on TRT as low as mid 500's, my hct climbs to 59. It's 57 as of two days ago and that's less than 12 weeks after donating. Doesn't matter if t level is 500's, 800's, 1100's, 1800's. Same HCT

The other mystery is why my t levels have been cut in half on TRT.

Damn that sucks have you tried double red donations?
Oh I see, yeah I might need to be doing that depending on what my labs come back as. Surprised my haematocrit shot so high up in such a small time frame.

What do you do to prevent lowering your ferritin, or does this not happen for you?

Do you supplement with iron?
No issues with ferritin/iron
Oh I see, yeah I might need to be doing that depending on what my labs come back as. Surprised my haematocrit shot so high up in such a small time frame.

What do you do to prevent lowering your ferritin, or does this not happen for you?

Do you supplement with iron?
Do not supplement w iron, it will be even worse. Btw a way to control RBC count is avoiding red meats, it shoots up hematocrit when combined w androgens.
I never donate. Telmisartan keeps my hct low. One of the lesser known effects of ARBs.
Anecdotal….I run 80mg/day on blasts(light), does C-O-C-K, makes zero difference. Still donate every 4 weeks. In controlled trials, those results were observed in like 1.2% of patients….insignificant. Your results are correlative. Enjoy it.